**Exercise**
Duplicate the whole of the rows further down exactly.

**Input**
=====
No. 1
This record from Materials Project describes a relaxed structure of BaAl2Si2O8. The functional is PBE.

The structure in CIF format:
```
data_BaAl2Si2O8
_space_group_name_H-M_alt 'P 1 21/c 1'
_space_group_IT_number 14
_cell_length_a 8.6728
_cell_length_b 9.7153
_cell_length_c 9.2084
_cell_angle_alpha 90.00
_cell_angle_beta 90.16
_cell_angle_gamma 90.00
loop_
_space_group_symop_operation_xyz
'x,y,z'
'-x,-y,-z'
'-x,y+1/2,-z+1/2'
'x,-y+1/2,z+1/2'
loop_
_atom_site_label
_atom_site_type_symbol
_atom_site_fract_x
_atom_site_fract_y
_atom_site_fract_z
_atom_site_occupancy
Ba1 Ba 0.2493 0.0871 0.1015 1
Al1 Al 0.0719 0.6931 0.0652 1
Al2 Al 0.4305 0.0798 0.7223 1
Si1 Si 0.0626 0.0846 0.7301 1
Si2 Si 0.4408 0.6988 0.0697 1
O1 O 0.0027 0.5711 0.1930 1
O2 O 0.0449 0.6373 0.6335 1
O3 O 0.0496 0.1864 0.5894 1
O4 O 0.2408 0.0890 0.7915 1
O5 O 0.2646 0.6665 0.0221 1
O6 O 0.4414 0.1866 0.5692 1
O7 O 0.4568 0.6415 0.6303 1
O8 O 0.5001 0.0885 0.3052 1
```

The total energy comes out at -7.63 eV/atom. The total magnetic moment is 0.00 μB per atom. Its energy relative to the elements is -333.3 kJ per mole of atoms. For the energy above the most stable polymorph in this dataset, the calculation gives 0 meV per atom.



No. 2
This record from Materials Project describes a relaxed structure of Ba3Al2Si3O12. The functional is PBE.

The structure in CIF format:
```
data_Ba3Al2Si3O12
_space_group_name_H-M_alt 'I a -3 d'
_space_group_IT_number 230
_space_group_name_Hall '-I 4bd 2c 3'
_cell_length_a 12.6723
_cell_length_b 12.6723
_cell_length_c 12.6723
_cell_angle_alpha 90.00
_cell_angle_beta 90.00
_cell_angle_gamma 90.00
loop_
_atom_site_label
_atom_site_type_symbol
_atom_site_fract_x
_atom_site_fract_y
_atom_site_fract_z
_atom_site_occupancy
Ba1 Ba 0.0000 0.2500 0.1250 1
Al1 Al 0.0000 0.0000 0.0000 1
Si1 Si 0.0000 0.2500 0.3750 1
O1 O 0.0355 0.1490 0.9536 1
```

The total energy comes out at -7.19 eV/atom. The total magnetic moment is 0.00 μB per atom. Its energy relative to the elements is -304.5 kJ per mole of atoms.



No. 3
This record from Materials Project describes a relaxed structure of BaAlSn4O7. The functional is PBE.

The structure in CIF format:
```
data_BaAlSn4O7
_space_group_name_H-M_alt 'P 63 m c'
_space_group_IT_number 186
=====

**Outcome**
No. 1
This record from Materials Project describes a relaxed structure of BaAl2Si2O8. The functional is PBE.

The structure in CIF format:
```
data_BaAl2Si2O8
_space_group_name_H-M_alt 'P 1 21/c 1'
_space_group_IT_number 14
_cell_length_a 8.6728
_cell_length_b 9.7153
_cell_length_c 9.2084
_cell_angle_alpha 90.00
_cell_angle_beta 90.16
_cell_angle_gamma 90.00
loop_
_space_group_symop_operation_xyz
'x,y,z'
'-x,-y,-z'
'-x,y+1/2,-z+1/2'
'x,-y+1/2,z+1/2'
loop_
_atom_site_label
_atom_site_type_symbol
_atom_site_fract_x
_atom_site_fract_y
_atom_site_fract_z
_atom_site_occupancy
Ba1 Ba 0.2493 0.0871 0.1015 1
Al1 Al 0.0719 0.6931 0.0652 1
Al2 Al 0.4305 0.0798 0.7223 1
Si1 Si 0.0626 0.0846 0.7301 1
Si2 Si 0.4408 0.6988 0.0697 1
O1 O 0.0027 0.5711 0.1930 1
O2 O 0.0449 0.6373 0.6335 1
O3 O 0.0496 0.1864 0.5894 1
O4 O 0.2408 0.0890 0.7915 1
O5 O 0.2646 0.6665 0.0221 1
O6 O 0.4414 0.1866 0.5692 1
O7 O 0.4568 0.6415 0.6303 1
O8 O 0.5001 0.0885 0.3052 1
```

The total energy comes out at -7.63 eV/atom. The total magnetic moment is 0.00 μB per atom. Its energy relative to the elements is -333.3 kJ per mole of atoms. For the energy above the most stable polymorph in this dataset, the calculation gives 0 meV per atom.



No. 2
This record from Materials Project describes a relaxed structure of Ba3Al2Si3O12. The functional is PBE.

The structure in CIF format:
```
data_Ba3Al2Si3O12
_space_group_name_H-M_alt 'I a -3 d'
_space_group_IT_number 230
_space_group_name_Hall '-I 4bd 2c 3'
_cell_length_a 12.6723
_cell_length_b 12.6723
_cell_length_c 12.6723
_cell_angle_alpha 90.00
_cell_angle_beta 90.00
_cell_angle_gamma 90.00
loop_
_atom_site_label
_atom_site_type_symbol
_atom_site_fract_x
_atom_site_fract_y
_atom_site_fract_z
_atom_site_occupancy
Ba1 Ba 0.0000 0.2500 0.1250 1
Al1 Al 0.0000 0.0000 0.0000 1
Si1 Si 0.0000 0.2500 0.3750 1
O1 O 0.0355 0.1490 0.9536 1
```

The total energy comes out at -7.19 eV/atom. The total magnetic moment is 0.00 μB per atom. Its energy relative to the elements is -304.5 kJ per mole of atoms.



No. 3
This record from Materials Project describes a relaxed structure of BaAlSn4O7. The functional is PBE.

The structure in CIF format:
```
data_BaAlSn4O7
_space_group_name_H-M_alt 'P 63 m c'
_space_group_IT_number 186